**Wanted**
Please find "... -5.36" and "Pm: 0.5000" in the lines further below, and type out these two lines and those between.

**Contents**
=====
No. 1
The following is a DFT calculation (PBE-GGA) of a relaxed BaCaNbTe2 crystal.

Properties
As for the total energy: -4.367 eV per atom. Its energy relative to the elements, uncorrected is -0.311 eV/atom. The space group is P4/mmm (123).

Cell: 5.5978 5.5978 5.4225 Å, 90.00 90.00 90.00°
Fractional positions:
Ba: 0.0000 0.0000 0.0000
Ca: 0.5000 0.5000 0.0000
Nb: 0.5000 0.5000 0.5000
Te: 0.0000 0.5000 0.5000
Te: 0.5000 0.0000 0.5000

=====

No. 2
The following is a DFT calculation (PBE-GGA) of a relaxed BaCa2Nd crystal.

Properties
As for the total energy: -2.549 eV per atom. The value obtained for the energy relative to the elements is 0.125 eV/atom. Its energy relative to the lowest polymorph listed for this composition is 46.7 meV/atom. The space group is P4/mmm (123).

Cell: 6.3290 6.3290 4.3375 Å, 90.00 90.00 90.00°
Fractional positions:
Ba: 0.0000 0.0000 0.0000
Ca: 0.0000 0.5000 0.5000
Ca: 0.5000 0.0000 0.5000
Nd: 0.5000 0.5000 0.0000

=====

No. 3
The following is a DFT calculation (PBE-GGA) of a relaxed BaCa2Nd crystal.

Properties
As for the total energy: -2.575 eV per atom. The value obtained for the energy relative to the elements is 0.099 eV/atom. Its energy relative to the lowest polymorph listed for this composition is 20.5 meV/atom. The space group is R3m (160).

Cell: 13.1826 13.1826 13.1826 Å, 17.11 17.11 17.11°
Fractional positions:
Ba: 0.0000 0.0000 0.0000
Ca: 0.4224 0.4224 0.4224
Ca: 0.5774 0.5774 0.5774
Nd: 0.8331 0.8331 0.8331

----------

Entry 1:
Material: Cr4In5
Method: DFT, GGA-PBE
State: relaxed

Lattice parameters (Å, degrees): 8.3652 8.3652 5.8682 90.00 90.00 120.00
Closest atoms and distances in Å follow each position.
Positions (direct):
In: 0.3333 0.6667 0.0000  2 In 2.93, 6 Cr 3.01
In: 0.7116 0.7116 0.7500  7 Cr 2.79-3.03
In: 0.2884 0.2884 0.2500  7 Cr 2.79-3.03
In: 0.2884 0.0000 0.7500  7 Cr 2.79-3.03
In: 0.6667 0.3333 0.0000  2 In 2.93, 6 Cr 3.01
In: 0.0000 0.2884 0.7500  7 Cr 2.79-3.03
In: 0.7116 0.0000 0.2500  7 Cr 2.79-3.03
In: 0.0000 0.7116 0.2500  7 Cr 2.79-3.03
In: 0.6667 0.3333 0.5000  2 In 2.93, 6 Cr 3.01
In: 0.3333 0.6667 0.5000  2 In 2.93, 6 Cr 3.01
Cr: 0.3775 0.3775 0.7500  9 In 2.79-3.03
Cr: 0.0000 0.3775 0.2500  9 In 2.79-3.03
Cr: 0.6225 0.0000 0.7500  9 In 2.79-3.03
Cr: 0.0000 0.0000 0.5000  6 In 2.82, 2 Cr 2.93
Cr: 0.6225 0.6225 0.2500  9 In 2.79-3.03
Cr: 0.0000 0.0000 0.0000  6 In 2.82, 2 Cr 2.93
Cr: 0.3775 0.0000 0.2500  9 In 2.79-3.03
Cr: 0.0000 0.6225 0.7500  9 In 2.79-3.03

## Properties
N(E_F) ... 5.4 states/eV/f.u.
E ... -5.36 eV/atom
Density ... 7.30 g/cm3

=====

Entry 2:
Material: Ca2PmSi4
Method: DFT, GGA-PBE
State: relaxed

Lattice parameters (Å, degrees): 3.8874 4.3927 9.4798 103.40 101.83 90.00
Closest atoms and distances in Å follow each position.
Positions (direct):
Si: 0.6428 0.6428 0.2857  2 Si 2.39
Si: 0.9343 0.4343 0.8687  3 Si 2.37-2.39
Si: 0.3572 0.3572 0.7143  2 Si 2.39
Si: 0.0657 0.5657 0.1313  3 Si 2.37-2.39
Ca: 0.8159 0.8159 0.6318  7 Si 3.03-3.12
Ca: 0.1841 0.1841 0.3682  7 Si 3.03-3.12
Pm: 0.5000 0.0000 0.0000  12 Si 3.16-3.38

## Properties
Uncorrected formation energy ... -566 meV per atom
N(E_F) ... 2.3 states/eV/f.u.
Density ... 3.64 g/cm3

=====

Entry 3:
Material: Ti2InMoC
Method: DFT, GGA-PBE
State: relaxed

Lattice parameters (Å, degrees): 4.3003 4.3003 4.1289 90.00 90.00 90.00
Closest atoms and distances in Å follow each position.
Positions (direct):
Ti: 0.0000 0.5000 0.0000  2 C 2.15
Ti: 0.5000 0.0000 0.0000  2 C 2.15
C: 0.0000 0.0000 0.0000  2 Mo 2.06, 4 Ti 2.15
Mo: 0.0000 0.0000 0.5000  2 C 2.06
In: 0.5000 0.5000 0.5000  8 Ti 2.98, 4 Mo 3.04

## Properties
N(E_F) ... 4.4 states/eV/f.u.
E ... -8.03 eV/atom
Density ... 6.93 g/cm3
=====

**Outcome**
E ... -5.36 eV/atom
Density ... 7.30 g/cm3

=====

Entry 2:
Material: Ca2PmSi4
Method: DFT, GGA-PBE
State: relaxed

Lattice parameters (Å, degrees): 3.8874 4.3927 9.4798 103.40 101.83 90.00
Closest atoms and distances in Å follow each position.
Positions (direct):
Si: 0.6428 0.6428 0.2857  2 Si 2.39
Si: 0.9343 0.4343 0.8687  3 Si 2.37-2.39
Si: 0.3572 0.3572 0.7143  2 Si 2.39
Si: 0.0657 0.5657 0.1313  3 Si 2.37-2.39
Ca: 0.8159 0.8159 0.6318  7 Si 3.03-3.12
Ca: 0.1841 0.1841 0.3682  7 Si 3.03-3.12
Pm: 0.5000 0.0000 0.0000  12 Si 3.16-3.38